Wednesday, December 11, 2013

CrossFit Christmas Gift Ideas

I have been purchasing equipment for my garage going on 4 years now.  Most of these things that I am recommending I have purchased for myself.  If I don't own it, I wish I did but probably bought a cheap version somewhere else and regretted it.  So this is for those of you that have a CrossFitter in your life and don't know what to get them.....
Under $40

Paleo Granola
This is Crossfitters crack, you can't just have a little.
Andi's Gran
T-shirt from your local CrossFit gym $20-$25
CrossFit Memorial Houston
Zero 500
The Hopper Deck $20
54 CrossFit WOD's printed on a deck of cards. Are you brave enough to pick one at random?  (Sold Out) You can try this app instead for $.99 while you wait for them to print more.
Hopper Deck
Hopper Deck App
Strength Wraps $25
Wrist's sore?  These wraps give you support that you can tighten and loosen mid WOD
Strength Wraps
RX Jump Rope $35
Custom built jump rope that you can pick the colors, cable length and thickness.
RX Jump Rope
Ab Mat $30ish
Don't leave home without it or your jump rope.  You can do the Annie WOD when you travel.
Ab Mat
Century Medicine Ball $20
You can use these for slam balls, sit ups, goblet squats, running with a load, even a wall ball (Dynamax med balls a nicer for the wall balls though)
Med Balls at Academy
Sport Journals WOD book $15
Great way to keep track of PR's for lifts and named WOD's among other things.
WOD book
Leather Gymnastics grips from Rage Fitness $20
Try these to save your hands on the pull up bar.
Gymnastics grips
Foam rollers $20, Bands $25+ and Lacrosse Balls $4
Great way of working the soreness out of your muscles. Both found at Academy.
Floss Bands $25
Just click on the link and watch Kstar make a guy grimace ;-)
Rogue Gloves $28
I never used them till this year (because you are a sissy if you do) now, love them.  Great for cold bars or if you just don't want your hands torn up.  The "R" on the palm is tacky and help you to hold on to the bar/kb, etc.
Rogue Gloves
Knee Sleeves by Rehband $38 for one, not a pair.
Again, never used these until this year (something to do with age I think) but they keep the knees warm and add some support to help reduce injury.
The supple Leopard by Kstar on mobility $30, First by Rich Froning or there are many Paleo cookbooks out there.
Supple Leopard
First by Froning
Well Fed Paleo Cookbook
Nom Nom Paleo Cookbook

$95-$400 price range

Membership or Gift Certificate to your local Crossfit Gym $priceless$
CrossFit Memorial Houston
Pull Sled by Rogue $95
For sprints down the road and having people look at you like your nuts.  You will definetly feel it the next day.
Pull Sled
Wall Timer (hint, hint)
It is so nice to be able to glance at a large countdown display instead of worrying about your phone getting crushed next to you because you are using it instead.
Wall Clock
Wall Mount Pull up bar $145
You can mount this in your garage and do you kipping pull ups/toes to bar, etc.  Does not include mounting hardware.  The P4 is best for wall mounting and the P3 is best for ceiling mount.
Pullup Bar
Squat Stand by Powerline $162
A nice inexpensive squat stand that can be used for shoulder presses as well as bench.
Powerline Squat Rack
Rogue's Butcher Sled $265
A great tool to put in the middle of a WOD to jack up the heart rate and turn your legs to jello. Word to the wise, don't sprint with this and then go directly to box jumps (bad idea).
Butcher Sled
Rogue Bar $216 
You don't realize the difference between a POS bar and a good bar until you have compared them side by side. This is a good all around bar to use for oly lifts.  Yes, it is a "womens bar" but if you have smaller hands, like me, you can hook grip the 25mm bar easier.  Love it.
Rogue Bella Bar
Rogue Hi Temp 190# Bumper set $380
This includes shipping.  You really don't need the 35 #'s. A must have if anyone wants to WOD from home on a regular basis.
Hi Temp Bumpers

$500 and up...the fun stuff.

Infinity Rig Wall Mount $565 
This is a nice combo that can be used as a rack and pullup bar.  It's $200 more than buying them separately but you have a whole lot more options and attachments that you can use later.
Wall Mount Rig
Schwinn Airdyne Bike $700ish
This is on my list.  Rich Froning uses it and I hear it gives you a great workout.  Rogue also carries this if you can't find a local retailer.
Airdyne Bike
Concept 2 Rower $900
Love 500m sprints?  Nope? Me neither.  Great conditioning tool and you can do Fight Gone Bad from home.  You can find a black one on the Rogue website or stick with the 80's looking fitness studio one from Concept.

I could go on but I think these are the main things most people might enjoy -that might be the wrong word, appreciate?  If you have any questions, suggestions or feedback please let me know.  Have fun shopping!

Wednesday, December 26, 2012

New Years Resolutions??

So, it's that time of year where you tell yourself that you will lose weight/eat right/become fit/work harder/be a better spouse/parent/Lego builder/penny pincher/save for a trip, etc.  It might last for 2 days or 2 months and then go back to the way it was...

I think if you do want to make a change in your life you should take baby steps.  Just like training for a marathon, you don't immediately go out and run 20+ miles, you start off slow and have a plan, tell others about it so there is accountability built in.

My goal is to 1.  Lose some weight by eating better and more moderately.  2. Listen to people more by putting the stupid cell phone down as soon as I am spoken to, even if I was texting first and someone walked up to me in the middle of it.  3.  Become more productive around the house.

The Plan for 2013
1. Lose 15 pounds by March 31st.  I will follow the Paleo diet 90% in January and then dial it back to 80% for the rest of the year (the last few months I might have followed it 40% at best, you can see it and I sure feel it).  Sometimes you have to go the wrong direction for awhile until you are fed up enough to get your life back on track.
   a. grocery shop and cook for my house
   b. no beer kept in the fridge
   c. have planned cheat meals 1 evening per week where I can be a glutton, get my fix and not feel guilty
   d. pay a fine to my son if he catches me eating something I shouldn't

2. Listening
   a. put the phone in the back of the house when I get home
   b. only check it every few hours unless someone actually calls at which point I will answer it if I am not eating with the family
   c. pay a fine to my son if he catches me breaking the rules (similar theme but I hate spending money so he will help curb the habit quickly)

/*
No. 1
The following is a quantum chemistry calculation of one molecule with the formula C15H22N2O4, from OMol25.

Each line ends with the Mulliken charge.
CARTESIAN COORDINATES (ANGSTROEM)
C: -0.33463 -0.57853 -0.25706  0.522
C: 0.77180 -1.36036 -0.90380  -0.215
C: -1.40935 -1.31018 0.61518  -1.395
C: -2.85327 -0.73366 0.40349  0.581
C: -4.06524 -1.50704 0.35513  -0.748
C: -2.96408 0.64909 0.25162  -0.250
C: -5.32768 -0.90292 0.42652  -0.371
C: -4.29364 1.18804 0.27543  -0.916
C: -5.38642 0.47866 0.56414  0.764
C: 2.44926 0.46079 -0.16216  -0.104
C: 1.99868 1.89522 -0.46047  0.432
C: 4.01480 0.28356 -0.24993  -1.050
C: 4.69949 -0.50128 1.00493  0.454
C: 5.87897 -1.40337 0.51532  -1.330
C: 5.05194 0.34754 2.31164  -1.455
H: -1.58578 0.10338 -1.95953  0.199
H: -0.26756 -0.50494 -2.28486  0.177
H: -0.01435 0.25319 0.29266  0.405
H: -1.14937 -1.25111 1.62635  0.453
H: -1.38268 -2.42925 0.40657  0.400
H: -3.99900 -2.63178 0.52122  0.233
H: -2.11235 1.25940 0.12978  0.550
H: -6.18589 -1.46853 0.62351  0.307
H: -4.37336 2.33624 0.37867  0.228
H: -7.36365 0.31547 0.78329  0.310
H: 2.43447 -0.76459 -1.74590  0.212
H: 2.09942 0.14701 0.73972  0.535
H: 4.52041 1.22519 -0.25767  0.540
H: 4.26633 -0.20009 -1.20797  0.405
H: 3.81310 -1.08560 1.33572  0.164
H: 6.53740 -2.05678 1.25130  0.297
H: 6.56147 -0.56448 0.24623  0.365
H: 5.51888 -2.20911 -0.16634  0.334
H: 5.70982 1.15479 1.99629  0.368
H: 5.61244 -0.31458 2.92504  0.426
H: 4.17626 0.69124 2.79160  0.355
H: 0.14784 1.50190 -1.21555  0.601
N: -0.68925 0.03389 -1.66131  -0.488
N: 1.77728 -0.47742 -1.08385  0.005
O: 0.64003 -2.44368 -1.43730  -0.646
O: -6.62884 0.96889 0.69977  -0.562
O: 2.80167 2.74166 -0.57208  -0.533
O: 0.69166 2.17868 -0.70712  -0.557

Computed properties:
Net charge: 0
E_HOMO (eV): -8.80
LUMO energy (Eh): 0.0227
SMILES: CC(C)C[C@H](NC(=O)[C@@H](N)Cc1ccc(O)cc1)C(=O)O

=====

No. 2
The following is a quantum chemistry calculation of one molecule with the formula C15H22N2O6S, from OMol25.

Each line ends with the Mulliken charge.
CARTESIAN COORDINATES (ANGSTROEM)
C: 2.17344 -0.21252 -1.98440  -1.150
C: 0.76371 0.32291 -2.17440  0.019
H: 0.54002 0.47294 -3.23649  0.341
H: 0.02086 -0.35518 -1.74373  0.122
O: 0.65644 1.59550 -1.53065  -0.290
C: -0.38491 1.82922 -0.74246  0.423
O: -1.31877 1.07548 -0.60716  -0.631
C: -0.29681 3.20043 -0.08188  0.053
C: 1.16016 3.62613 0.11091  -0.938
C: 1.89587 2.54687 0.92666  -0.836
N: 0.91422 1.70113 1.56304  0.017
S: 1.34138 0.18834 2.11337  1.378
O: 2.61137 -0.13812 1.53197  -0.705
O: 1.18953 0.13142 3.54038  -0.749
C: 0.11706 -0.84498 1.36580  0.185
C: -1.25562 -0.74516 1.47741  -0.823
N: -1.82905 -1.67202 0.69545  0.180
C: -0.84660 -2.38804 0.06243  -0.208
C: 0.38044 -1.88691 0.47479  -0.076
H: 1.34625 -2.23903 0.17900  0.740
C: -1.08286 -3.49062 -0.86121  0.354
O: -2.15588 -3.97624 -1.14540  -0.670
O: 0.07446 -3.93232 -1.38381  -0.269
C: -0.03501 -5.02594 -2.28175  -0.717
H: -0.65679 -4.75554 -3.13800  0.314
H: -0.48458 -5.88632 -1.78158  0.308
*/

3. Productivity
   a. have an on going to do list separated by two categories - small thing and big things
   b. prior to doing something enjoyable a small thing must be completed
   c. one large item must be completed each week

That's it.  Let me know if you have any suggestions to my three to help me succeed. Have a Happy New Year and tell me, what is your goal?  How are you going to stick to it? Post it here and have some accountability!

Monday, December 17, 2012

Sandy Hook Elementary Tragedy

Misplaced molecular data
-- begin --
Below is 5 unconnected molecules or ions with the total composition C42H96F5N16O7P4S4, with properties calculated with wB97M-V/def2-TZVPD.

Each line ends with the Mulliken charge.
Geometry (Å):
C1 11.152 0.819 -2.757  -0.793
C2 10.492 1.568 -4.057  -0.348
S1 8.627 1.730 -4.025  -0.107
C3 7.783 0.171 -3.421  -0.726
C4 6.472 0.508 -2.433  0.200
C5 5.543 -0.738 -2.090  -0.722
C6 4.272 -0.394 -1.135  0.178
C7 3.167 -1.505 -0.662  -0.236
C8 1.611 -1.142 -1.031  -0.252
C9 0.707 -2.404 -1.558  -0.337
C10 -0.675 -1.729 -2.217  -0.720
C11 -1.564 -0.879 -1.126  -0.403
C12 -1.775 0.706 -1.499  -0.515
C13 -3.342 1.233 -1.328  -0.626
S2 -4.455 0.309 -2.525  -0.081
C14 -5.812 1.569 -2.986  0.164
N1 -6.352 1.836 -4.391  -0.222
N2 -7.337 2.842 -4.256  -0.283
C15 -7.453 3.169 -2.776  0.006
O1 -6.504 2.400 -1.955  -0.047
C16 4.332 1.169 -0.735  0.639
S3 2.933 1.765 0.397  -0.153
N3 5.367 2.079 -1.192  0.526
S4 5.282 3.757 -0.586  0.843
O2 5.418 3.817 0.987  -0.509
O3 6.551 4.572 -1.069  -0.534
C17 3.818 4.718 -1.254  0.458
F1 2.864 3.881 -2.074  -0.200
F2 4.336 5.740 -2.241  -0.209
C18 3.027 5.630 -0.107  0.600
F3 1.995 4.881 0.644  -0.189
F4 3.966 6.418 0.756  -0.194
F5 2.274 6.670 -0.904  -0.217
N4 6.416 1.901 -2.012  -0.673
H1 11.569 -0.235 -3.133  0.218
H2 10.315 0.643 -1.956  0.207
H3 12.041 1.432 -2.247  0.286
H4 10.830 1.080 -5.092  0.311
H5 10.930 2.673 -4.089  0.295
H6 7.345 -0.418 -4.356  0.374
H7 8.520 -0.601 -2.889  0.399
H8 5.786 -1.802 -2.513  0.426
H9 3.313 -1.803 0.483  0.329
H10 3.424 -2.504 -1.261  0.031
H11 1.115 -0.748 -0.020  0.165
H12 1.533 -0.227 -1.789  0.210
H13 0.365 -3.104 -0.656  0.278
H14 1.286 -3.028 -2.367  0.121
H15 -0.284 -0.971 -3.052  0.299
H16 -1.340 -2.591 -2.658  0.292
H17 -1.059 -0.910 -0.059  0.231
H18 -2.659 -1.325 -0.961  0.459
H19 -1.438 0.957 -2.595  0.314
H20 -1.135 1.407 -0.775  0.174
H21 -3.717 1.184 -0.197  0.223
H22 -3.384 2.381 -1.643  0.393
H23 -8.181 3.937 -2.244  0.323
H24 2.859 0.958 1.549  0.294
O4 -6.245 0.304 3.066  -0.776
P1 -6.317 1.571 3.953  0.833
N5 -5.554 2.518 2.729  0.317
C19 -4.616 3.621 2.896  -0.878
C20 -6.392 2.764 1.549  -1.180
N6 -5.077 0.965 5.006  0.294
C21 -3.794 1.610 5.238  -1.259
C22 -4.846 -0.491 5.010  -1.090
N7 -6.401 3.027 4.973  -0.089
C23 -6.741 2.710 6.386  -1.017
C24 -7.468 3.966 4.558  -1.118
H25 -5.076 4.530 3.290  0.283
H26 -4.157 3.893 1.936  0.373
H27 -3.767 3.373 3.525  0.211
H28 -7.225 3.437 1.768  0.249
H29 -6.820 1.828 1.172  0.329
H30 -5.823 3.191 0.718  0.359
H31 -3.133 1.507 4.375  0.293
H32 -3.282 1.167 6.100  0.433
H33 -3.902 2.664 5.503  0.376
H34 -4.280 -0.810 4.126  0.322
H35 -5.797 -1.040 5.044  0.314
H36 -4.291 -0.806 5.901  0.297
H37 -7.688 2.162 6.448  0.377
H38 -6.823 3.625 6.985  0.386
H39 -5.975 2.112 6.890  0.319
H40 -8.429 3.450 4.453  0.391
H41 -7.241 4.463 3.617  0.269
H42 -7.586 4.780 5.283  0.398
O5 -4.901 -3.194 7.274  -0.651
P2 -4.724 -4.616 7.860  0.738
N8 -5.691 -5.295 6.603  0.106
C25 -6.620 -6.416 6.685  -0.779
C26 -5.052 -5.287 5.281  -0.913
-- stop --

I don't watch the news, ever.  Everyone else always tells me what's going on.  The reason I don't is 90% of what is broadcast either pisses me off -politicians/government or saddens me -Friday's shootings.
Thinking about what happened makes me feel so useless, angry and heartbroken.  The thought of losing my son to something, anything....I don't know how to put it into words.
There are so many people out there that have already written much more profound and moving blogs about this.  I thought I would just share some of them with you.

I am Adam Lanza's Mother
My corner of world

This past weekend the cub scout meeting was held at my house.  All the boys were playing tag except one.  He wandered around in a circle with a lego to his face mumbling.  I tried to engage him in conversation and he would not meet my eyes.  My first impulse (which is wrong) led me to think he was one of "those" kids, someone else's problem who will end up in trouble all the time for not paying attention.  Then I thought about the first blog link I posted above (I think he may have Asperger's) and made sure he got his derby car cut since his guardian dropped him off and no one was really looking out for him.  After I had cut his pinewood derby car he did thank me which surprised me, I wasn't expecting it and half the other boys didn't even bother.

If I hadn't read that blog I would have probably gone with my first impulse, I am glad I didn't and in the future I am going to go out of my way during cub scout meetings to help him out if I can.  This should be something everyone does, friends, family, neighbors, community and our government.  We must stop being so focused on just ourselves and our own little world.  If we don't, at sometime it will implode.

Pray for the victims families and be grateful for all you have this day and season together.

Something to warm your heart.
Moments that restored our faith in humanity this year

Monday, December 10, 2012

What will define you this season?

**Misplaced molecular data**
........
# 1
{
  "formula": "C7H9NO",
  "method": "ωB97M-V/def2-TZVPD",
  "e_lumo_ev": 0.715,
  "e_homo_ev": -8.7,
  "multiplicity": 1,
  "charge": 0,
  "smiles": "CCn1ccccc1=O",
  "species": ["C", "C", "C", "C", "C", "C", "C", "H", "H", "H", "H", "H", "H", "H", "H", "H", "N", "O"],
  "coordinates": [[2.73370, -0.24669, -0.57340], [1.69089, 0.06617, 0.51446], [-0.58585, -1.10105, 0.25975], [-1.89052, -1.26417, 0.06069], [-2.60044, 0.04978, -0.36457], [-2.09741, 1.18582, -0.00294], [-0.53585, 1.23314, 0.04864], [2.22481, -1.10948, -1.35300], [2.69031, 0.68152, -1.04311], [3.81427, -0.28135, -0.30456], [1.85568, 1.07849, 0.94478], [1.54227, -0.58579, 1.59125], [-0.40881, -2.02618, 0.83883], [-2.42677, -2.11927, -0.02133], [-3.58855, -0.18562, -0.71630], [-2.61563, 2.18173, -0.10392], [0.16830, 0.10993, 0.12423], [0.02958, 2.33303, 0.10049]],
  "forces_ev_per_angstrom": [[-2.504, -2.407, -1.030], [-2.269, -0.587, 4.401], [-0.134, -1.500, 1.287], [0.428, 6.976, -2.740], [-1.077, -5.105, 0.907], [2.700, 2.804, -1.077], [-1.516, 3.869, 1.239], [2.128, 2.294, 2.274], [-0.048, 1.420, -1.835], [-1.070, -0.930, 0.307], [-0.019, -0.579, -0.594], [1.150, 1.140, -3.284], [2.469, 0.672, -0.442], [-1.161, -2.614, 0.403], [-0.614, 0.784, -0.017], [0.864, -1.210, 0.126], [1.091, -4.361, 0.501], [-0.418, -0.669, -0.424]]
}

# 2
{
  "formula": "C7H9NO2",
  "method": "ωB97M-V/def2-TZVPD",
  "e_lumo_ev": [-0.328, -0.328],
  "e_homo_ev": [-9.1, -9.1],
  "multiplicity": 1,
  "charge": 0,
  "smiles": "C[C@@]1(N=O)CCC=CC1=O",
  "species": ["C", "C", "C", "C", "C", "C", "C", "N", "O", "O", "H", "H", "H", "H", "H", "H", "H", "H", "H"],
  "coordinates": [[-0.02498, -1.81750, 0.44749], [-1.30082, -1.57033, 0.48915], [1.05414, -0.98404, 0.02114], [-1.80272, -0.16060, 0.43947], [-0.83650, 0.72744, -0.29301], [0.72121, 0.57912, -0.01914], [1.57625, 1.05297, -1.15731], [1.21215, 1.14053, 1.19704], [2.15385, -1.29587, -0.28843], [0.39843, 1.43655, 2.06586], [0.21591, -2.82202, 0.72267], [-1.94358, -2.34192, 0.72327], [-2.81803, -0.09306, 0.01817], [-1.88516, 0.15860, 1.61705], [-0.83751, 0.55642, -1.35652], [-0.97653, 1.80008, -0.15855], [1.44833, 2.16382, -1.23524], [1.12583, 0.84260, -2.23284], [2.51971, 0.62723, -1.00028]],
  "forces_ev_per_angstrom": [[1.077, -2.491, 0.129], [-0.426, 3.126, 0.083], [-0.623, 2.824, 0.856], [-0.589, 0.379, 2.428], [2.099, 1.087, 0.103], [-2.620, -2.092, -0.987], [-2.883, 2.482, -2.683], [-0.009, 0.824, 2.236], [1.225, -1.615, -0.183], [0.808, -0.652, -1.733], [0.682, -0.645, -0.263], [-1.442, -1.456, 0.559], [0.352, 0.038, 0.149], [0.069, -0.609, -2.851], [-0.653, -0.230, -0.488], [-0.646, 0.007, 0.128], [1.068, -0.598, 0.550], [0.923, -0.572, 2.294], [1.586, 0.194, -0.326]]
}

# 3
{
  "formula": "C7H9NO2",
  "method": "ωB97M-V/def2-TZVPD",
  "e_lumo_ev": 0.712,
  "e_homo_ev": -9.6,
  "multiplicity": 1,
  "charge": 0,
  "smiles": "CC1([N+](=O)[O-])C=CCC=C1",
........

Most of us are defined by our job, not our marriage, relationships or good deeds that we do.
Why do we let our jobs define our worth and who we are?
Many of us put all our effort into our work and have nothing left over for the family, but we have a longer lasting effect on our family than we do at our workplace.
What will your family or friends remember this holiday season?
All the hours you spent at work or shopping for the perfect gift that ended up collecting dust?
Or will they will remember the time spent with each other playing card games and talking around the dinner table.
Don't stay late at work, online or shopping this season.  Spend your most precious commodity (time) with the things that matter most.
What will you choose to let define you?

Thursday, November 8, 2012

Strongman Seminar in Austin

Last weekend I drove up to Austin to attend Rob Orlando's Strongman Seminar.  It was a lot of fun.  
We started of with flipping tires.  I always thought you deadlifted them, wrong.  You push your chest into it with your feet about 12-18" away from the tire and then open your hips and drive your knee through.  We did a short WOD with tire flips and box jumps onto the tire for 75 seconds that left everyone breathing hard.
Next up were atlas stones.  If you are lifting heavy (I only got up to 175# - didn't feel like trying the 200#) it is a two stage lift where you create a shelf with your legs to rest the stone on.  Your arms are wrapped around the mid-line of the stone with your chin resting on it.  Then you load your hamstrings and violently open your hips so it rolls up your body.  You actually let go of the stone briefly as it nears your chest/shoulder area.  The other way is one movement without creating the shelf with lighter stones.  Our WOD with that was 4 rounds of Tabata, atlas stone to the shoulder.
So......I got one rep.  I decided to go really fast with the 95# and followed it back down like a slam ball to get it again (don't do this).  It was on 2" of rubber matting and it bounced back about 28 to 34" up into my chin.  Had some blood (they were cool and super glued it shut) and a cracked molar (my very first crown).  I was a DNF on that one.  The ladies at CrossFit Central were very cool, thank you.
The keg lifts were awkward, you have to shift it around 90 degrees to get it to your shoulder and then shift it back to press it, plus the contents move on you as you are doing this.  Rob suggested to make it really interesting by using water instead of sand.  The sand will only shift once or twice, the water never stops. The WOD on that one was optional so I passed.
That was it for the morning and I gummed some beef jerky for lunch.

Then came the yoke and farmers carry.  You take short steps and don't walk a tightrope when carrying either.  It was interesting on the carry, I can deadlift 365# but between the two hands I was walking with 370#.  This is due to the neutral grip, fatter handles and they are 6" higher than a bar with plates on the ground.  I liked both movements a lot.
We finished the day with logs.  It is similar to a clean and jerk but not as pretty and with a neutral grip inside the log.  You set it up like the atlas stone with your legs as a shelf but you lay your chest on the log keeping your elbows bent and at the same angle until it is at your shoulders.  We also learned to viper press the log where you take it from the leg shelf and almost treat it like a power snatch/press.  We then did a WOD with the viper presses and burpees.  Lots of energy and encouragement with over 50 people there.  We went through it in waves of 30 sec on the VP then some one else is taking your place on the VP's as you go to the burpees for 30 sec.  Total time for the WOD is 1 min.
To sum it all up..
1.  It's fun
2.  It's easy to teach.  I can have anyone learn any of these movements in 10 minutes or less but a good clean and jerk takes months.
3.  It's simple and practical.  Pick up that heavy ass thing and move it here or there.  Some of the strongest people around are farmers, electricians, plumbers, etc.  They are one their feet all day picking stuff up, putting it down.  Working with their arms above their heads, twisting and turning.  This is just the not boring version of that.
4.  The movements are transferable to the more complicated things we do in CrossFit, so it is good for beginners and progression.
5.  Did I mention it's fun?

Wednesday, November 7, 2012

A New Chapter...

Last week a co-worker and I were let go from our jobs as coaches.  We were told that things had gotten too big and the gym wanted to take a step back and lighten up on the amount of coaches and clients.  That's ok, I sure as hell didn't like it but it's not my place.  I don't get to make those decisions.
Something really cool that came out of it was all the responses I have received from my clients expressing their unhappiness that I would not be coaching them anymore.  It was really nice.  I hadn't realized how much that meant to me, so thanks everyone, I really enjoyed our time together.  I will continue to keep in touch with you all.
Now I need to decide what's next...
1. Train people out of my house at times that won't disturb my neighbors?
2. Open my own box?
3. Work at another box (already had one interview) and help it grow?
4. Conduct boot camps in a park nearby?
5. A combination of all of the above?
6. Or go back into the corporate world? :(
I'm thinking a combination of 1-5, what do you think?  Let me know.

Stay tuned, coming to you shortly a recap of the Strongman cert in Austin last weekend!

Monday, October 29, 2012


People that CrossFit sweat, a lot, (living in Houston TX is a double whammy) so they should also practice good/great hygiene habits (most do).  We try to be a healthy community, exercise, eat right and take care of ourselves so why is it some people seem absolutely oblivious that they smell?  I know anyone can be odiferous at times based on what you eat, onions, garlic, or get that coffee sweat working for you where it comes out of your pores, but what about the ones that have the consistent body odor?  It may be a medical condition and that sucks, they could be allergic to types of soap/antiperspirants and it can also be that no one has ever said anything to them because it is embarrassing.  I shower two or three times a day and I still don't always smell like a rose.  My son is nine and is going to become introduced to deodorant in November (once I do a little research on kids and antiperspirant).  Just a general FYI out there.....Use antiperspirant, not just deodorant, take a shower after workouts and again that evening/morning, if in doubt do it again, wash your clothes in hot water with a little bleach to kill germs and do the same to your shoes, everyone will appreciate it and it is good for you :)